①Be formal表現(xiàn)地正式
②Give a full answer完整地回答
完整的回答是指避免one word answer ,推己及人,作為中國人我們都是討厭別人說中文只說單個字回復的,外國人又怎么會喜歡呢?何況雅思考試是展現(xiàn)自己英語能力的考試,在自己的能力范圍內(nèi),應該盡可能以完整的句子作答,才能讓考官欣然給出高分。
③Be polite 保持禮貌/禮儀
保持禮貌/禮儀是印象分的一部分,這就是說要保持交流中的基本禮貌,比如微笑、注視考官以及不打斷考官提問,如果出現(xiàn)了自己沒有聽懂的提問,可以禮貌地請考官重復,以could you please/would you mind開頭來禮貌詢問,這樣的詢問并不會影響自己的分數(shù)。
④Maintain good posture 維持好的坐姿
⑤Speak clearly 說話清楚、語音清晰
⑥Use descriptive words 使用新穎的描述性的詞匯
Next to the article, the page also holds quantum chemistry results:
********
Here is C26H54AlCl3F4N10NaO11S4 as an isolated structure in a non-equilibrium geometry from OMol25. Energies are from the ωB97M-V functional and the def2-TZVPD basis.

Each line ends with the Löwdin charge.
Cartesian coordinates (Å):
N (-1.34, 7.98, 3.31)  -0.035
C (-2.80, 7.67, 3.33)  -0.272
C (-3.29, 7.67, 1.78)  -0.177
C (-2.73, 6.31, 1.13)  -0.167
C (-3.92, 5.30, 0.66)  -0.089
N (-3.71, 5.12, -0.83)  -0.117
N (-4.51, 5.77, -1.76)  0.116
C (-2.71, 4.30, -1.19)  -0.146
N (-1.87, 3.58, -0.23)  0.201
C (-0.98, 2.82, -1.04)  -0.134
C (0.04, 1.88, -0.28)  -0.068
C (-0.62, 0.37, -0.32)  -0.216
C (0.45, -0.81, -0.05)  -0.426
S (0.38, -1.95, -1.55)  0.757
N (-1.20, 3.06, -2.45)  -0.068
S (-0.29, 2.35, -3.73)  0.876
O (0.86, 1.51, -3.24)  -0.271
O (0.33, 3.47, -4.52)  -0.243
C (-1.33, 1.22, -4.80)  -0.466
F (-1.54, 0.05, -4.03)  0.046
F (-2.59, 1.74, -5.10)  0.113
F (-0.65, 0.84, -5.94)  0.147
N (-2.25, 3.96, -2.51)  -0.087
O (-2.73, 4.42, -3.69)  0.085
H (-1.23, 8.80, 3.92)  0.072
H (-0.78, 7.20, 3.67)  0.062
H (-3.38, 8.42, 3.95)  0.116
H (-2.94, 6.65, 3.82)  0.111
H (-4.41, 7.80, 1.69)  0.106
H (-2.73, 8.54, 1.29)  0.113
H (-2.10, 6.60, 0.22)  0.111
H (-2.03, 5.75, 1.83)  0.103
H (-4.95, 5.74, 0.89)  0.145
H (-3.87, 4.31, 1.24)  0.082
H (-4.99, 5.12, -2.40)  0.110
H (-4.03, 6.53, -2.25)  0.128
H (1.10, 1.86, -0.70)  0.102
H (0.02, 2.20, 0.82)  0.145
H (-1.45, 0.27, 0.47)  0.118
H (-1.08, 0.29, -1.37)  0.067
H (0.10, -1.46, 0.83)  0.087
H (1.51, -0.42, 0.18)  0.099
H (-0.96, -1.85, -1.95)  -0.095
H (-3.53, 3.89, -3.94)  0.150
C (3.99, -6.03, 0.79)  -0.205
C (3.93, -4.94, -0.28)  -0.199
C (2.52, -4.34, -0.25)  -0.265
S (1.93, -4.54, 1.43)  0.654
O (0.81, -5.46, 1.41)  -0.299
O (1.86, -3.25, 2.07)  -0.336
C (3.37, -5.41, 2.04)  -0.237
H (5.02, -6.35, 0.98)  0.126
H (3.41, -6.90, 0.47)  0.129
H (4.67, -4.16, -0.06)  0.125
H (4.17, -5.33, -1.27)  0.121
H (2.53, -3.28, -0.50)  0.059
H (1.84, -4.88, -0.91)  0.059
H (3.07, -6.16, 2.78)  0.097
H (4.03, -4.68, 2.49)  0.115
C (-0.02, -4.12, -4.67)  -1.454
Cl (-0.05, -5.25, -6.02)  0.650
Cl (-1.60, -4.05, -3.88)  0.600
Cl (1.24, -4.57, -3.51)  0.823
H (0.21, -3.13, -5.06)  0.023
F (1.13, -7.04, -3.69)  -0.272
C (0.58, -4.38, 5.96)  -0.653
O (-0.15, -3.40, 5.97)  0.075
N (1.32, -4.74, 4.89)  0.191
N (0.72, -5.18, 7.06)  0.093
H (1.93, -5.54, 4.86)  0.093
H (1.24, -4.16, 4.06)  0.079
H (0.16, -4.93, 7.91)  -0.215
H (1.31, -5.99, 7.10)  0.029
C (-5.98, -0.19, 0.60)  -0.096
C (-5.21, 0.84, -0.22)  -0.265
C (-4.28, 1.70, 0.64)  -0.192
C (-5.08, 2.46, 1.65)  -0.219
N (-5.72, 3.05, 2.45)  0.178
H (-6.65, 0.29, 1.32)  0.080
H (-6.61, -0.80, -0.06)  0.081
H (-5.30, -0.86, 1.14)  0.081
H (-5.92, 1.47, -0.75)  0.114
H (-4.61, 0.31, -0.97)  0.099
H (-3.74, 2.41, 0.02)  0.053
H (-3.55, 1.08, 1.16)  0.109
Na (2.37, -7.02, 8.46)  0.839
C (-3.19, -4.15, 8.85)  -0.758
O (-2.09, -3.47, 9.02)  -0.115
O (-3.44, -4.37, 7.53)  0.117
O (-3.98, -4.60, 9.66)  0.121
H (-2.64, -3.89, 7.23)  0.094
Al (-0.67, -4.55, 9.20)  0.977
********
End of the quantum chemistry results:
⑦Speak up 聲音洪亮
⑧Keep a steady pace 語速合適
⑨Explain foreign words 解釋外國詞匯(地名等)
⑩Stay on topic 緊扣話題
?Don't use slang 拒絕俚語
?Don’t memorize answers 不要背答案
雅思口語Part2話題高分范文:decision you disagree with
Topic:Describe a decision made by others that you disagree with.
You should say:
who made this decision
what it is
how you told him/her
and explain why you disagree the decision
Sample answer:
I'd like to share a decision that I disagree with my parents. It was a decision related to my career choice.After I graduated from university, I worked in a state-owned bank for two years following my parents'advice. Last summer, when the third year came,my family would like me to continue my labor contract with bank. They thought,it was suitable for a girl. It was a night-to-five job with well paid. It offered enough promotion possibility in my field,coz my major and interest were all in finance. But I preferred to change my job as an English teacher assistant in private companies. I wanted to experience another lifestyle and achieve my own potential in other area. At that time,I was stuck in the work when I stayed at bank. I told my parents that,unlike people thought,the job with too many trifles always messed up my daily routine even in my days off. It was not what I pursuit at beginning. After weighing up pros and cons,I persuaded my family and made a tough but right decision,quitting my position at that moment and devoting in education field. Now I enjoy my current job very much and my family is glad for my choice of this.
雅思口語Part3話題范文: countryside activity
1.Do you think it is better to live in the countryside or in the city?
As often as this question is raised, I believe it remains a tough decision to make when it comes to choosing between living in the countryside and living in the city. Many people have been attracted to live and work in big cities because of better employment opportunities and higherliving standards. This massive rural-to-urban migration has, however, led to increase in environmental pollution, traffic and social issues in urban areas. It would be a better idea for people to live in the suburb and travel into the city to work every day so that they can enjoy the best of both worlds.
2.In your experience are city centres usually attractive places?
Mary: Some can be yes … especially those with a historical interest … but sometimes they’re full of ugly office blocks … multi-story car parks … and residents living in poor housing … it depends on the city doesn’t it?
3.What are some of the challenges facing towns and cities?
I suppose traffic congestion is the first and most serious problem most people choosing to live in the cities have to deal with. During the peak hours, there are an influx of people on the roads while the infrastructure can’t furnish people enough space for driving their own cars. Besides, the marked increase in out-of-town supermarkets and retail parks mean lots of town centre shops are closing down. I think these are the major challenges.
4.What are the advantages of living in the countryside?
Living in the countryside can definitely benefit people in a wide range of ways. For one thing, living in the countryside is better for one’s health condition thanks to significantly lower levels of air pollution. It is undeniable that, air quality in big cities is so bad that long-term exposure to it may cause respiratory diseases and other health problems. Besides, the cost of living in rural areas is likely to be lower than that in cities. Although people in the city tend to make more money than people in the countryside do, they have to spend more on food, accommodation and transportation. Therefore, one can actually save more money by living in the countryside without working as hard.
5.Do you think that people should have permission to build houses in the countryside?
I certainly think people should be encouraged to build houses in less developed areas. This is because house prices in big cities have become unaffordable for the masses while it costs much less to purchase land and build houses in the countryside. By making more land in the countryside available for building on, the government can attract people to live and work in the countryside, which will not only benefit the economy but also help to reduce burdens on big cities.
雅思口語Part2話題高分范文:newly-opened shop
Topic:Describe a shop that just opened in your hometown.
You should say:
where the shop is
when it opened
what it sells
and how you feel about the shop.
Sample answer:
Last year,during the summer, my hometown Quanzhou had its first Apple store,which was located in the city center. The Apple store is on the ground floor of Wanda shopping mall. Since my hometown is a small place where used to be famous for fishing and agriculture,many people in my hometown still have no sense to the smart phones.Apple store's existence has become a unique landmark,which attracts hundreds of locals to visit it everyday.
Of course Apple store sells various kinds of its own brand electronic devices,especially focusing on iPhones,iPads,Macbook laptops,and Apple watches. On the other hand, it provides different fields of service. For example,Genius Bar help customers deal with any possible hardware issues or Workshops help customers learn about Apple devices better in order to maximize the usage of products. In addition,on one side of the store,we can purchase some accessorles.
Personally,I was excited because I am a huge fan of Apple company.The devices it brought to our world and the technology it showed to our society have massive impacts on people's life, not only met our needs but also improved our life quality.